[1] | Sertyesilisik, B. (2016). "Sürdürülebilir Şehirlerin Oluşturulmasına Yönelik Bir İnceleme " 4. Proje ve Yapım Yönetimi Kongresi, 3-5 Kasım 2016, Anadolu Üniversitesi, Eskişehir. |
[2] | Sertyesilisik, B. (2016). "İnşaat Sektörünün Karbon Ayak İzini Azaltma Aracı Olarak Rejeneratif Cam Pazarı Üzerine Bir İnceleme" 4. Proje ve Yapım Yönetimi Kongresi, 3-5 Kasım 2016, Anadolu Üniversitesi, Eskişehir. |
[3] | Tuz, A. ve Sertyesilisik, B. (2016). " Yalın Yönetim ile İnşaat Proje Yönetiminde Kaliteyi Arttırma Üzerine Bir İnceleme " 3-5 Kasım 2016, 4. Proje ve Yapım Yönetimi Kongresi, Anadolu Üniversitesi, Eskişehir. |
[4] | Korkmaz, N. ve Sertyesilisik, B. (2016). “Proje Yönetiminde Temel Performans Göstergelerinin Önemi: Sürdürülebilir Bina Projeleri” 3-5 Kasım 2016, 4. Proje ve Yapım Yönetimi Kongresi, Anadolu Üniversitesi, Eskişehir. |
[5] | Tatlıcı, G. ve Sertyesilisik, B. (2016). “Yalın İnşaat Proje Yönetiminin Türk İnşaat Sektöründe Yaygınlaştırılması Üzerine Bir İnceleme” 3-5 Kasım 2016, 4. Proje ve Yapım Yönetimi Kongresi, Anadolu Üniversitesi, Eskişehir. |
[6] | Sertyesilisik, B. (2015) “Managerial Aspects of the Regenerative Construction Projects”. in: Sarshar Driscoll, M., Ianakiev, A., and Sertyesilisik, B. (Eds) (2016). “Contemporary Trends in the Regenerative and Sustainable Built Environment:Technical and Managerial Aspects: workshop proceedings: Novel Energy for the Regenerative Built Environment: Technical and Managerial Aspects”, 3-6 March 2014, Istanbul Technical Uni. Nottingham: Nottingham Trent University: CADBE. |
[7] | Tatlici, G. and Sertyesilisik, B. (2015). “Gathering methods, quantification and management of the waste material in a Construction Site: A Case Study in Istanbul”. in: Sarshar Driscoll, M., Ianakiev, A., and Sertyesilisik, B. (Eds) (2016). “Contemporary Trends in the Regenerative and Sustainable Built Environment:Technical and Managerial Aspects: workshop proceedings: Novel Energy for the Regenerative Built Environment: Technical and Managerial Aspects”, 3-6 March 2014, Istanbul Technical Uni. Nottingham: Nottingham Trent University: CADBE. |
[8] | Korkmaz, N., Mulville, M., and Sertyesilisik, B. (2015) “Optimizing thermal performance of high-rise office buildings in Mediterranean climate by taking passive house approach” in: Sarshar Driscoll, M., Ianakiev, A., and Sertyesilisik, B. (Eds) (2016). “Contemporary Trends in the Regenerative and Sustainable Built Environment:Technical and Managerial Aspects: workshop proceedings: Novel Energy for the Regenerative Built Environment: Technical and Managerial Aspects”, 3-6 March 2014, Istanbul Technical Uni. Nottingham: Nottingham Trent University: CADBE. |
[9] | Tabesh, T. and Sertyesilisik, B. (2015) “Focus on atrium spaces apects on the energy performance”. International Conference on Chemical, Civil and Environmental Engineering, 5-6 June, Istanbul, Turkey. |
[10] | Tabesh, T. and Sertyesilisik, B. (2015) “An investigation on energy efficient courtyaard design criteria”. International Conference on Chemical, Civil and Environmental Engineering, 5-6 June, Istanbul, Turkey. |
[11] | Cecen, H., B. Sertyesilisik, and Aladag H. (2014) “A Construction Safety Directive” ACE 2014 11th International Congress on Advances in Civil Engineering 21-25 October 2014 |
[12] | Tabesh, T., and Sertyesilisik, B. (2013) “An exploration into the natural ventilation in atria” International Workshop on Livable Cities providing livability at affordability (IWLC 2013) Malaysia. |
[13] | Aspinall, S., Sertyesilisik, B., Sourani A., and Tunstall, A. (2012). "How accurately does BREEAM measure sustainability?" Creative Education, 3/1-8. doi: 10.4236/ce.2012.37B001. The World Congress on Engineering and Technology, Beijing, Çin. |
[14] | Erdi, D. and Sertyesilisik, B. (2012). "Türk inşaat sektöründe iş ortaklıkları üzerine bir inceleme" 2. Proje ve Yapım Yönetimi Kongresi, 13 – 16 Eylül 2012, İzmir Yüksek Teknoloji Enstitüsü, Urla-Izmir. |
[15] | Gurlu, E., Lebit, M. Sertyesilisik, B., and Erdi D. (2012). "Türk inşaat sektöründe alt yüklenicilik üzerine bir inceleme" 2. Proje ve Yapım Yönetimi Kongresi, 13-16 Eylül 2012, İzmir İleri Teknoloji Enstitüsü, Urla-Izmir. |
[16] | Sertyesilisik, B., Dikbas, A., Giritli, H., Cil, D. and Aydın, D. (2012). "İnşaat proje yönetim programları üzerine bir inceleme" 2. Proje ve Yapım Yönetimi Kongresi, 13-16 Eylül 2012, İzmir İleri Teknoloji Enstitüsü, Urla- İzmir. |
[17] | Maliene, V., Durney-Knight, N., and Sertyesilisik B. (2011). "Developing sustainable communities: Comparative case study from North West of England" Environmental Engineering, the 8th International Conference, Mayıs 19-20, Vilnius, Litvanya. |
[18] | Blackshaw, M., Sertyesilisik, B., and Sarshar, M. (2010). "Corporate property portfolios: Seeking flexibility", ACE 2010 9th International Congress on Advances in Civil Engineering, Trabzon, Türkiye, Eylül 2010. |
[19] | Cannon, E., Sertyesilisik B., and Ross A. (2010). "Supply chain management in the UK construction industry", ACE 2010 9th International Congress on Advances in Civil Engineering, Trabzon, Türkiye, Eylül 2010. |
[20] | Sertyesilisik, B., Deniz, U., and Kilinc, O. (2010). "Türkiye'deki inşaat firmalarının sürdürülebilirliğe yaklaşımları ve farkındalıkları", 1.inci Proje ve Yapım Yönetimi Kongresi, Ankara, Türkiye, Eylül-Ekim 2010, 201-213. |
[21] | Cecen, H., Sertyesilisik B., and Atabay, Ş. (2010). "Şehir içi şantiyeciliği (ŞEŞ) için koordinasyon ve çevre güvenliği sisteminin oluşturulması", 1.inci Proje ve Yapım Yönetimi Kongresi, Ankara, Türkiye, Eylül-Ekim 2010, 705-715. |
[22] | Cecen, H., Sertyesilisik, B., Aladag, H., Yurdakul E., and Toptas, F. (2009) “YTÜ İnşaat mühendisliği yapı işletmesi yüksek lisans eğitiminin analizi”, TMMOB İnşaat Mühendisleri Odası, 1. İnşaat Mühendisliği Eğitimi Sempozyumu, Antalya, Türkiye, Kasım 2009, 439-450. |
[23] | Sertyeşilışık, B. (2008) "Strategy of Istanbul Municipality in coping with traffic problem", 10th International Conference on Application of Advanced Technologies in Transportation (AATT), Athens, Greece. |
(Someone pasted records of crystals at this point)
-- begin --
DFT (PBE+U) results for a geometry-optimized Li2WO12 structure.

Output
Spin magnetization: 20.00 μB/cell
Excess energy over the best structure of this formula in the dataset: 0 meV per atom
Final energy: -324.13 eV per cell
DFT formation energy: -72 kJ/mol of atoms

extended XYZ file:
```
60
Lattice="-5.318 -8.395 4.700 4.572 -4.248 -2.414 10.581 -0.981 10.220" Properties=species:S:1:pos:R:3 pbc="T T T"
Li 4.270 -8.941 4.072
Li 7.875 -12.091 10.671
Li 5.566 -4.683 8.434
Li 1.960 -1.533 1.835
Li 1.096 -8.766 1.764
Li 5.103 -11.283 8.009
Li 8.739 -4.858 10.742
Li 4.732 -2.341 4.497
W 1.851 -7.291 4.380
W 5.497 -10.378 10.943
W 7.984 -6.333 8.126
W 4.338 -3.247 1.563
O 2.912 -8.062 5.575
O 7.126 -10.253 11.637
O 6.923 -5.562 6.931
O 2.709 -3.371 0.869
O 3.417 -6.888 9.281
O -2.521 -7.420 4.744
O 6.418 -6.736 3.225
O 12.356 -6.204 7.762
O 0.197 -7.541 3.057
O 4.255 -9.977 9.257
O 9.638 -6.083 9.449
O 5.580 -3.647 3.249
O 0.178 -8.415 4.220
O 5.371 -9.059 9.416
O 9.657 -5.209 8.286
O 4.464 -4.565 3.090
O 1.969 -5.348 4.633
O 9.547 -2.228 7.721
O 7.866 -8.276 7.873
O 0.288 -11.396 4.785
O 0.849 -5.939 5.447
O 4.407 -9.165 12.089
O 8.986 -7.685 7.059
O 5.428 -4.459 0.417
O 2.662 -8.581 2.948
O 6.289 -11.698 9.528
O 7.173 -5.043 9.558
O 3.546 -1.927 2.978
O 3.118 -7.154 2.866
O 10.761 -3.930 5.897
O 6.717 -6.471 9.640
O -0.926 -9.694 6.609
O 0.579 -8.989 9.601
O -2.346 -4.765 2.400
O 9.256 -4.635 2.905
O 12.182 -8.859 10.106
O 5.148 -10.456 6.010
O 10.264 -11.223 11.275
O 4.687 -3.168 6.496
O -0.428 -2.401 1.231
O 3.992 -10.777 5.649
O 9.736 -10.551 10.359
O 5.843 -2.848 6.857
O 0.099 -3.073 2.147
O 3.838 -6.294 8.290
O -3.147 -8.477 4.677
O 5.998 -7.330 4.216
O 12.982 -5.147 7.829
```

~~~~~

No. 1
The following is a PBE calculation of a relaxed KCa4Si8H16O28F crystal, from the Materials Project database.

Unit cell a=9.792 b=9.792 c=12.569 alpha=90.00 beta=90.00 gamma=90.08
Element x y z (fractional)
1 K 0.000 0.500 0.000
2 K 0.500 0.000 0.500
3 Ca 0.142 0.825 0.000
4 Ca 0.175 0.858 0.500
5 Ca 0.324 0.358 0.000
6 Ca 0.358 0.324 0.500
7 Ca 0.642 0.676 0.500
8 Ca 0.676 0.642 0.000
9 Ca 0.825 0.142 0.500
10 Ca 0.858 0.175 0.000
11 Si 0.005 0.729 0.240
12 Si 0.005 0.729 0.760
13 Si 0.229 0.495 0.240
14 Si 0.229 0.495 0.760
15 Si 0.271 0.995 0.260
16 Si 0.271 0.995 0.740
17 Si 0.495 0.229 0.260
18 Si 0.495 0.229 0.740
19 Si 0.505 0.771 0.260
20 Si 0.505 0.771 0.740
21 Si 0.729 0.005 0.260
22 Si 0.729 0.005 0.740
23 Si 0.771 0.505 0.240
24 Si 0.771 0.505 0.760
25 Si 0.995 0.271 0.240
26 Si 0.995 0.271 0.760
27 H 0.093 0.113 0.369
28 H 0.093 0.113 0.631
29 H 0.113 0.093 0.131
30 H 0.113 0.093 0.869
31 H 0.123 0.321 0.470
32 H 0.123 0.321 0.530
33 H 0.184 0.623 0.470
34 H 0.184 0.623 0.530
35 H 0.321 0.123 0.030
36 H 0.321 0.123 0.970
37 H 0.377 0.816 0.030
38 H 0.377 0.816 0.970
39 H 0.387 0.593 0.369
40 H 0.387 0.593 0.631
41 H 0.407 0.613 0.131
42 H 0.407 0.613 0.869
43 H 0.593 0.387 0.131
44 H 0.593 0.387 0.869
45 H 0.613 0.407 0.369
-- stop --
[24] | Sertyeşilışık, B. (2008). "An investigation on the Marmaray Project with respect to contractual issues", 10th International Conference on Application of Advanced Technologies in Transportation (AATT), Athens, Greece. |
[25] | Sertyesilisik, B. (2008). "The strategy of resolution of disputes in infrastructure projects", 10th International Conference on Application of Advanced Technologies in Transportation (AATT), Athens, Greece. |
[26] | Sertyesilisik, B. (2008). "Market structure of the Turkish precast concrete industry", 8th International Congress on Advances in Civil Engineering, Cyprus, 601-609, September 2008. |
Between two parts of the piece: data records:
-- begin --
Entry 1:
Crystalline SmIn at its relaxed geometry. Source: the Materials Project, functional meta-GGA r2SCAN.

Structure (POSCAR):
```
SmIn
1.0
-2.866 1.625 1.932
-1.142 -3.441 1.200
2.252 0.323 3.068
In Sm
1 1
direct
0.000 0.000 0.000
0.500 0.500 0.500
```

For the electronic total energy, the calculation gives -26.78 eV/atom. The space group is Pm-3m (221). The calculation puts the formation energy at -0.625 eV/atom. The volume is 27.85 Å³/atom.


Entry 2:
Crystalline BiClO at its relaxed geometry. Source: the Materials Project, functional meta-GGA r2SCAN.

Structure (POSCAR):
```
BiClO
1.0
-3.633 -1.319 0.470
1.381 -3.590 0.600
0.443 1.398 7.348
Cl Bi O
2 2 2
direct
0.750 0.750 0.346
0.250 0.250 0.654
0.750 0.750 0.832
0.250 0.250 0.168
0.250 0.750 0.000
0.750 0.250 0.000
```

For the electronic total energy, the calculation gives -24.94 eV/atom. The space group is P4/nmm (129). The calculation puts the formation energy at -1.400 eV/atom. The volume is 18.93 Å³/atom.


Entry 3:
Crystalline MoP4 at its relaxed geometry. Source: the Materials Project, functional meta-GGA r2SCAN.

Structure (POSCAR):
```
MoP4
1.0
-4.386 -0.505 2.964
-3.771 -3.736 -2.478
0.168 -4.477 4.257
P Mo
8 2
direct
0.814 0.684 0.813
0.186 0.316 0.187
0.627 0.184 0.187
0.373 0.816 0.813
0.502 0.311 0.553
0.945 0.189 0.553
0.055 0.811 0.447
0.498 0.689 0.447
0.940 0.750 0.119
0.060 0.250 0.881
```

For the electronic total energy, the calculation gives -12.80 eV/atom. The space group is C2/c (15). The calculation puts the formation energy at -0.380 eV/atom. The volume is 16.24 Å³/atom.


Entry 4:
Crystalline ReO2 at its relaxed geometry. Source: the Materials Project, functional meta-GGA r2SCAN.

Structure (POSCAR):
```
ReO2
1.0
4.585 0.000 0.000
0.000 4.854 0.000
0.000 0.000 5.661
O Re
8 4
direct
0.409 0.741 0.860
0.409 0.759 0.360
0.909 0.741 0.140
0.591 0.241 0.640
0.091 0.241 0.360
0.091 0.259 0.860
0.591 0.259 0.140
0.909 0.759 0.640
0.250 0.500 0.607
0.750 0.500 0.393
0.250 0.000 0.107
0.750 0.000 0.893
```

For the electronic total energy, the calculation gives -23.02 eV/atom. The space group is Pbcn (60). The calculation puts the formation energy at -1.570 eV/atom. The volume is 10.50 Å³/atom.


Entry 5:
Crystalline Ga5CuSe8 at its relaxed geometry. Source: the Materials Project, functional meta-GGA r2SCAN.

Structure (POSCAR):
```
Ga5CuSe8
1.0
5.474 0.000 0.000
0.000 5.474 0.000
0.000 0.000 11.195
Se Ga Cu
8 5 1
direct
0.241 0.759 0.380
0.241 0.241 0.620
0.265 0.735 0.883
0.735 0.735 0.117
0.265 0.265 0.117
0.735 0.265 0.883
0.759 0.241 0.380
0.759 0.759 0.620
0.000 0.500 0.745
0.000 0.500 0.255
0.500 0.000 0.745
0.500 0.000 0.255
0.000 0.000 0.000
0.500 0.500 0.500
```

For the electronic total energy, the calculation gives -13.70 eV/atom. The space group is P-42m (111). The calculation puts the formation energy at -0.663 eV/atom. The volume is 23.96 Å³/atom.


Entry 6:
-- stop --
[27] | Sertyesilisik, B. (2006). "The effects of well-prepared contracts on the success of the company", 1st International CIB Endorsed METU Postgraduate Conference, Ankara, Turkey, March 2006, 401-411. |
[28] | Sertyesilisik, B. (2006). "The effects of user profile on urbanization", 18th International Live and Building Conference of Chamber of Architects, Bursa, Turkey, March 2006. |
[29] | Ozkan, S., and Sertyesilisik, B. (2006). "The attitude of Turkish construction companies towards arbitration", AUBEA 2006 Conference, Sidney, Australia, June 2006. |
[30] | Sertyesilisik, B. (2006). "The effectiveness of the five-year development plans on the development of the construction sector", 22nd ARCOM Annual Conference and Annual General Meeting, Birmingham, UK, September, 2006, 583-591. |
[31] | Sertyesilisik, B. (2006). "The role of construction in development of Turkey", Construction in the XXI century: Local and global challenges Joint International Symposium of CIB working commissions (W55: Building Economics, W65: Organization and Management of Construction, W86: Building Pathology), Rome, Italy, October 2006. |
[32] | Sertyeşilışık, B. (2006). "Strategic planning in construction", International Strategic Management Conference, Istanbul, Turkey, June 2006, 39-49. |